Yan Pu1 Theory of Price Regulation Agenda 1 Introduction –1.1 Objective of regulation –1.2 Rate balancing 2 Different approaches of pricing regulation 3 Price-cap regulation –3.1 The formula and factors –3.2 Miscellaneous issues in price-cap regulation 4 Price regulation in interconnection 5 Price regulation in Hong Kong 6 Conclusion
Yan Pu2 Introduction 1/3 Price regulation objectives Financing objectives: to make operators get sufficient revenue to be viable Efficiency objectives: to reflect resource scarcity properly and to maximize the productivity Equity objectives: to distribute the welfare benefits between operators and consumers, and also among different consumer groups fairly. Other objectives can be to restrict the anti-competitive pricing
Yan Pu3 Introduction 2/3 Rate balancing Price should be closely aligned to its cost Unbalanced price structure is not sustainable in the competitive environment but occurs regularly in unregulated monopoly Ramsey pricing is widely used to recover the fixed and common costs Ramsey pricing: price is raised above marginal cost more for a lower demand elasticity (sensitivity) service and less for a higher demand elasticity service.
Yan Pu4 Introduction 3/3 Peak/off-peak pricing: Prices are set at a higher level in peak time to discourage use of facilities and transfer demand to off-peak periods. Advantages –Capacity utilization maximized –Traffic congestion reduced –Quality of service improved, –Purchase of additional equipment avoided.
Yan Pu5 Different approaches 1/3 Oligopoly era: a partly competitive and partly regulated market with a small number of operators Discretionary price –government operates the network to promote consumer-to-consumer equity objectives –Below-cost local connection price and over-cost long distance or international connection price. –Unbalanced and inefficient price structure –Because of some political reason, price is raised to meet the require revenue, part of the revenue deprived … all these threaten the viability of operators.
Yan Pu6 Different approaches 2/3 Rate-of-return regulation Aims to limit monopoly profit to a reasonable level Adjust the price to cover the calculated revenue requirement. This violates the efficiency objectives for there is no incentive for operators to reduce their costs. It will lead to over-investment, various "cost-padding" What a reasonable price is?
Yan Pu7 Different Approaches 3/3 Price-cap regulation Restrict the price rather than the profit. Encourages cost reduction and innovation. A price 'floor' is also important to prevent below cost pricing which is used to exclude lower-cost new entrants.
Yan Pu8 Price-cap regulation 1/5 Basic formula: Pt = P0 * (1 + I - X) ^t Pt = P0 * (1 + I - X) ^t P0 = baseline price-cap Pt = price-cap during year t after the institution of price-level regulation I = rate of inflation
Yan Pu9 Price-cap regulation 2/5 I factor Price can be indexed to the overall level of input costs. Regulators can focus on the whole industry instead of a specific operator in rate-of-return regulation. Thus encourage operator to achieve cost reduction and innovation. No industry-specific index, use broader reasonable inflation indices –CPI (Consumer Price Index): UK, Australia –PPI (Producer Price Index) with its sub indices. Any price index has limitations with time fluctuations so adjustment mechanism is needed
Yan Pu10 Price-cap regulation 3/5 X' factor X should pose a significant, but not insuperable challenge to the operator. Two main approaches to determine the X factor Historical productivity method: –carry out TFP (Total Factor Productivity) as basic offset. –X value should be equal to the difference between the productivity of the operator and the economy as a whole to make sure that every industry else being equal to avoid loss of investment in telecommunication. Regulatory benchmarking method: –In some emerging market or the regulation is changing from discretionary price –Adjustments are more important than basic offset
Yan Pu11 Price-cap regulation 4/5 Time period The productivity achieved should not be passed on to the consumer at once to cause possible dilution of incentives. A proper period should be between 3 to 5 years –FCC adopted a 4-year price-cap period with AT&T –Oftel with BT for 4 years also except the initial price-cap for 5 years.
Yan Pu12 Price-cap regulation 5/5 Miscellaneous issues in price-cap regulation Service Baskets –The API (Actual Price Index): price increase of individual services times their weight determined by their revenues. –API should be equal or less than PCI (Price-cap Index). –Sub-cap index for one specific service Profit Sharing (PS) Mechanism, a complementary choice –Regulator imposes a sharing rule if one operator is making excessively high profits. –If the operator does not agree to it, regulator revokes the contract. –To operators, the threat of revocation is very costly because of the capital intensive investment during contract period. The price-cap regulation should not be applied to the launch of innovative services –There is no fierce effective competition in market. –There is need for operators to exploit new markets and customers. –Profit can be seen as a reward for innovation and introduction of new services. –Profit can be seen a signal for new comer and trigger competition.
(Calculated molecules, as found in the file)
........
Version P
{
  "formula": "CH3ClN2O2",
  "method": "the ωB97M-V functional and the def2-TZVPD basis",
  "smiles": "[O-]/[N+](CCl)=N\\O",
  "orbital_gap_ev": [10.082, 10.081],
  "total_charge": 0,
  "species": ["C", "N", "N", "O", "O", "Cl", "H", "H", "H"],
  "positions_angstrom": [[-0.86, 0.07, 0.63], [1.16, -0.42, -0.40], [-0.10, -0.25, -0.57], [-0.82, -0.21, -1.60], [1.84, -0.73, -1.53], [-0.38, -0.81, 2.16], [-0.77, 1.07, 0.90], [-1.93, -0.11, 0.56], [2.76, -0.51, -1.21]]
}

Version Q
{
  "formula": "CH3ClN2O2",
  "method": "the ωB97M-V functional and the def2-TZVPD basis",
  "smiles": "C/N=[N+](/[O-])OCl",
  "orbital_gap_ev": 10.203,
  "total_charge": 0,
  "species": ["C", "N", "N", "O", "O", "Cl", "H", "H", "H"],
  "positions_angstrom": [[-1.03, -0.01, 0.77], [0.25, -0.54, 0.72], [1.07, -0.23, -0.10], [2.10, -0.75, -0.35], [0.51, 0.80, -1.05], [1.05, 0.22, -2.54], [-1.50, -0.42, 1.71], [-0.77, 0.96, 0.97], [-1.68, -0.03, -0.12]]
}

Stability check: which of them is most stable? version P.

Version P
{
  "formula": "C5H12N2",
  "method": "the ωB97M-V functional and the def2-TZVPD basis",
  "smiles": "C=CC[C@H](N)CN",
  "orbital_gap_ev": 10.266,
  "total_charge": 0,
  "species": ["N", "C", "C", "C", "C", "C", "N", "H", "H", "H", "H", "H", "H", "H", "H", "H", "H", "H", "H"],
  "positions_angstrom": [[-0.63, -1.26, 1.13], [-0.23, -0.82, -0.20], [-0.04, 0.70, -0.41], [-1.31, 1.44, -0.16], [-1.40, 2.73, 0.14], [0.99, -1.61, -0.64], [2.17, -1.44, 0.26], [-1.32, -0.66, 1.56], [0.15, -1.40, 1.76], [-1.06, -1.13, -0.85], [0.32, 0.86, -1.42], [0.74, 1.00, 0.31], [-2.20, 0.89, -0.46], [-0.54, 3.38, 0.23], [-2.41, 3.12, 0.27], [1.27, -1.42, -1.67], [0.73, -2.66, -0.59], [1.93, -0.79, 1.01], [2.86, -0.94, -0.29]]
}

Version Q
{
  "formula": "C5H12N2",
  "method": "the ωB97M-V functional and the def2-TZVPD basis",
  "smiles": "C=CC[C@H](N)CN",
  "orbital_gap_ev": 9.780,
  "total_charge": 0,
  "species": ["N", "C", "C", "C", "C", "C", "N", "H", "H", "H", "H", "H", "H", "H", "H", "H", "H", "H", "H"],
  "positions_angstrom": [[-0.39, 0.43, 1.75], [-0.61, 0.49, 0.29], [0.56, -0.08, -0.51], [1.86, 0.73, -0.34], [2.90, 0.63, -1.18], [-1.95, -0.15, -0.05], [-1.98, -1.61, 0.34], [0.52, 0.38, 2.19], [-1.12, -0.10, 2.18], [-0.70, 1.60, 0.17], [0.23, -0.25, -1.52], [0.65, -1.08, -0.02], [1.81, 1.57, 0.35], [3.00, 0.02, -2.06], [3.81, 1.32, -1.06], [-2.28, 0.06, -1.07], [-2.80, 0.21, 0.50], [-1.08, -2.05, 0.44], [-2.44, -2.14, -0.40]]
}

Stability check: which of them is most stable? version P.

Version P
{
  "formula": "C5H12N2",
  "method": "the ωB97M-V functional and the def2-TZVPD basis",
  "smiles": "C=NCC[C@H](C)N",
  "orbital_gap_ev": 10.005,
  "total_charge": 0,
  "species": ["C", "C", "C", "C", "C", "N", "N", "H", "H", "H", "H", "H", "H", "H", "H", "H", "H", "H", "H"],
........
Yan Pu13 Price regulation in interconnection 1/ 3 LRIC (Long Run Incremental Cost): the most favored costing method Costing method: historical data or forward-looking approach –Historical data approach: price their service merely based on historical investment. –The forward-looking approach: operators are supposed to respond competition by price adjustment more actively –Forward-looking approach is preferred LRIC: the most widely accepted forward-looking costing approach –Used widely in retail and wholesale market –Estimated on the basis of current technology and best available performance standards. –The European Commission has adopted LRAIC (Long Run Average Incremental Cost) as its preferred costing methodology.
Yan Pu14 Price regulation in interconnection 2/3 The use of price-cap regulation in wholesale market The operator raises its interconnection charges and lowers the retail prices to squeeze the profit margin to exclude competitors or new comers. In CPP regime, the charge is relatively high when a fixed operator pays the corresponding mobile operator for a fixed-to-mobile call. –Oftel modified the mobile operators' licenses in April 2003 to require the first 15 per cent reduction by July –Further cuts of 15 per cent in each year for the next three years
Yan Pu15 Price regulation in interconnection 3/3 Other regulation principles Unbundled charges: no service provider shall be charged for any interconnection facility it does not seek or require Universal service and ADC (Access Deficit Contributions) charges: the interconnection charges should be separated where the cost of a particular component vary significant in different locations
Yan Pu16 Price regulation in Hong Kong In 1975, Scheme of Control (SoC) (Rate-of-return regulation) was established. After 1991, the government and HKTC mutually agreed to move to price-cap regulation In 1993, the Telephone Regulation set out the initial 3-year-long an overall price- cap and two sub-caps. Since 2003, all telecommunication sectors in Hong Kong fully liberalized. At present, almost all retail prices are without regulatory influence. Only PCCW HKT (former HKTC)'s price for local fixed network service are subject to regulation since it is designated a dominant operator. Even in a competitive market, the regulator must maintain vigilance –In early 2000, all mobile operators announced an increase in the monthly charge at almost the same time. –The price rise was withdrawn after OFTA declared that it would conduct an investigation to see whether any collusion was involved. IDD service was not under price control for free competition –Some services costs has fallen by more than 98%. –The incumbent is no longer dominating so pricing regulation for IDD service is no longer necessary now.
Yan Pu17 Conclusion Price regulation should be set to meet its objectives. In principle, price is supposed to be aligned with its cost; in practice, Ramsey pricing can be adopted to recover the costs. The most favored costing method is LRIC Price-cap regulation is widely adopted both in retail and wholesale market. Price-cap regulation restrict the price rather than the profit. Thus, it encourages the operator to reduce cost and to innovate. When applying price-cap regulation formula, the inflation, X factor, and time period should be picked up carefully. Price control should not be use in launch of innovative service. Profit sharing mechanism can be used as a complementary option to favor customers. In wholesale market, principles have already been set up to address some typical issues e.g. unbundled charges, universal and ADC charges. The Hong Kong price regulation evolution is a vivid case to illustrate above discussions.
Yan Pu18 Thanks ! Time for questions and comments.